Next, transcribe the contents underneath from the first line to the one with "47.23, intensity" word for word.

<<<
No. 1
LaHoTl4: theoretical powder diffraction line list (a wavelength of 1.5418 Å), based on a crystal structure in Alexandria, relaxed with GGA-PBE.
Lines closer than 0.1° are merged.

Atomic structure:
abc: 5.170 5.170 7.607
angles: 90.09 90.09 90.01
Atoms (fractional coordinates):
La 0.000 0.000 0.000
Ho 0.501 0.499 0.500
Tl 0.000 0.501 0.272
Tl 0.001 0.499 0.728
Tl 0.499 0.000 0.728
Tl 0.501 0.999 0.272

Largest 12 diffraction maxima, by angle, 2θ = 5–70°:
- d = 4.276 Å, 2θ 20.77, intensity 27
- d = 3.804 Å, 2θ 23.39, intensity 12
- d = 3.656 Å, 2θ 24.35, intensity 25
- d = 2.636 Å, 2θ 34.01, intensity 100
- d = 2.585 Å, 2θ 34.70, intensity 50
- d = 2.212 Å, 2θ 40.79, intensity 10
- d = 2.138 Å, 2θ 42.27, intensity 11
- d = 2.084 Å, 2θ 43.43, intensity 5
- d = 1.902 Å, 2θ 47.83, intensity 8
- d = 1.828 Å, 2θ 49.89, intensity 18
- d = 1.532 Å, 2θ 60.43, intensity 16
- d = 1.502 Å, 2θ 61.76, intensity 37

No. 2
LaHo3Tl3: theoretical powder diffraction line list (a wavelength of 1.5418 Å), based on a crystal structure in Alexandria, relaxed with GGA-PBE.
Lines closer than 0.1° are merged.

Atomic structure:
abc: 9.428 9.428 9.428
angles: 90.00 90.00 90.00
Atoms (fractional coordinates):
La 0.065 0.435 0.565
La 0.435 0.565 0.065
La 0.565 0.065 0.435
La 0.935 0.935 0.935
Ho 0.091 0.591 0.909
Ho 0.177 0.177 0.177
Ho 0.184 0.816 0.316
Ho 0.316 0.184 0.816
Ho 0.323 0.823 0.677
Ho 0.409 0.409 0.409
Ho 0.591 0.909 0.091
Ho 0.677 0.323 0.823
Ho 0.684 0.684 0.684
Ho 0.816 0.316 0.184
Ho 0.823 0.677 0.323
Ho 0.909 0.091 0.591
Tl 0.001 0.270 0.890
Tl 0.110 0.501 0.230
Tl 0.230 0.110 0.501
Tl 0.270 0.890 0.001
Tl 0.390 0.499 0.730
Tl 0.499 0.730 0.390
Tl 0.501 0.230 0.110
Tl 0.610 0.999 0.770
Tl 0.730 0.390 0.499
Tl 0.770 0.610 0.999
Tl 0.890 0.001 0.270
Tl 0.999 0.770 0.610

Largest 12 diffraction maxima, by angle, 2θ = 5–70°:
- d = 3.849 Å, 2θ 23.11, intensity 10
- d = 2.981 Å, 2θ 29.97, intensity 100
- d = 2.615 Å, 2θ 34.29, intensity 4
- d = 2.520 Å, 2θ 35.63, intensity 71
- d = 2.108 Å, 2θ 42.90, intensity 17
- d = 2.010 Å, 2θ 45.11, intensity 10
- d = 1.924 Å, 2θ 47.23, intensity 14
- d = 1.849 Å, 2θ 49.28, intensity 18
- d = 1.529 Å, 2θ 60.54, intensity 26
- d = 1.491 Å, 2θ 62.28, intensity 10
- d = 1.455 Å, 2θ 64.00, intensity 15
- d = 1.361 Å, 2θ 69.02, intensity 5

No. 3
La2Ho3Tl2: theoretical powder diffraction line list (a wavelength of 1.5418 Å), based on a crystal structure in Alexandria, relaxed with GGA-PBE.
Lines closer than 0.1° are merged.

Atomic structure:
abc: 6.600 6.600 8.342
angles: 108.75 108.75 41.75
Atoms (fractional coordinates):
La 0.138 0.138 0.289
La 0.862 0.862 0.711
Ho 0.372 0.372 0.055
Ho 0.500 0.500 0.500
Ho 0.628 0.628 0.945
Tl 0.161 0.161 0.711
Tl 0.839 0.839 0.289

Largest 12 diffraction maxima, by angle, 2θ = 5–70°:
- d = 5.684 Å, 2θ 15.59, intensity 36
- d = 3.121 Å, 2θ 28.60, intensity 40
- d = 3.074 Å, 2θ 29.05, intensity 88
- d = 2.984 Å, 2θ 29.94, intensity 49
- d = 2.895 Å, 2θ 30.88, intensity 33
- d = 2.752 Å, 2θ 32.53, intensity 58
- d = 2.742 Å, 2θ 32.66, intensity 100
- d = 2.391 Å, 2θ 37.62, intensity 29
- d = 2.380 Å, 2θ 37.81, intensity 31
- d = 2.352 Å, 2θ 38.27, intensity 56
- d = 1.676 Å, 2θ 54.77, intensity 24
- d = 1.569 Å, 2θ 58.84, intensity 22

No. 4
La6HoTl: theoretical powder diffraction line list (a wavelength of 1.5418 Å), based on a crystal structure in Alexandria, relaxed with GGA-PBE.
Lines closer than 0.1° are merged.

Atomic structure:
abc: 5.121 5.121 10.395
angles: 90.00 90.00 90.00
Atoms (fractional coordinates):
La 0.000 0.000 0.000
La 0.000 0.000 0.500
La 0.000 0.500 0.246
La 0.000 0.500 0.754
La 0.500 0.000 0.246
La 0.500 0.000 0.754
Ho 0.500 0.500 0.500
Tl 0.500 0.500 0.000

Largest 12 diffraction maxima, by angle, 2θ = 5–70°:
- d = 10.395 Å, 2θ 8.51, intensity 1
- d = 5.198 Å, 2θ 17.06, intensity 1
- d = 5.121 Å, 2θ 17.32, intensity 1
- d = 3.648 Å, 2θ 24.40, intensity 1
- d = 2.971 Å, 2θ 30.08, intensity 100
- d = 2.599 Å, 2θ 34.51, intensity 17
>>>

No. 1
LaHoTl4: theoretical powder diffraction line list (a wavelength of 1.5418 Å), based on a crystal structure in Alexandria, relaxed with GGA-PBE.
Lines closer than 0.1° are merged.

Atomic structure:
abc: 5.170 5.170 7.607
angles: 90.09 90.09 90.01
Atoms (fractional coordinates):
La 0.000 0.000 0.000
Ho 0.501 0.499 0.500
Tl 0.000 0.501 0.272
Tl 0.001 0.499 0.728
Tl 0.499 0.000 0.728
Tl 0.501 0.999 0.272

Largest 12 diffraction maxima, by angle, 2θ = 5–70°:
- d = 4.276 Å, 2θ 20.77, intensity 27
- d = 3.804 Å, 2θ 23.39, intensity 12
- d = 3.656 Å, 2θ 24.35, intensity 25
- d = 2.636 Å, 2θ 34.01, intensity 100
- d = 2.585 Å, 2θ 34.70, intensity 50
- d = 2.212 Å, 2θ 40.79, intensity 10
- d = 2.138 Å, 2θ 42.27, intensity 11
- d = 2.084 Å, 2θ 43.43, intensity 5
- d = 1.902 Å, 2θ 47.83, intensity 8
- d = 1.828 Å, 2θ 49.89, intensity 18
- d = 1.532 Å, 2θ 60.43, intensity 16
- d = 1.502 Å, 2θ 61.76, intensity 37

No. 2
LaHo3Tl3: theoretical powder diffraction line list (a wavelength of 1.5418 Å), based on a crystal structure in Alexandria, relaxed with GGA-PBE.
Lines closer than 0.1° are merged.

Atomic structure:
abc: 9.428 9.428 9.428
angles: 90.00 90.00 90.00
Atoms (fractional coordinates):
La 0.065 0.435 0.565
La 0.435 0.565 0.065
La 0.565 0.065 0.435
La 0.935 0.935 0.935
Ho 0.091 0.591 0.909
Ho 0.177 0.177 0.177
Ho 0.184 0.816 0.316
Ho 0.316 0.184 0.816
Ho 0.323 0.823 0.677
Ho 0.409 0.409 0.409
Ho 0.591 0.909 0.091
Ho 0.677 0.323 0.823
Ho 0.684 0.684 0.684
Ho 0.816 0.316 0.184
Ho 0.823 0.677 0.323
Ho 0.909 0.091 0.591
Tl 0.001 0.270 0.890
Tl 0.110 0.501 0.230
Tl 0.230 0.110 0.501
Tl 0.270 0.890 0.001
Tl 0.390 0.499 0.730
Tl 0.499 0.730 0.390
Tl 0.501 0.230 0.110
Tl 0.610 0.999 0.770
Tl 0.730 0.390 0.499
Tl 0.770 0.610 0.999
Tl 0.890 0.001 0.270
Tl 0.999 0.770 0.610

Largest 12 diffraction maxima, by angle, 2θ = 5–70°:
- d = 3.849 Å, 2θ 23.11, intensity 10
- d = 2.981 Å, 2θ 29.97, intensity 100
- d = 2.615 Å, 2θ 34.29, intensity 4
- d = 2.520 Å, 2θ 35.63, intensity 71
- d = 2.108 Å, 2θ 42.90, intensity 17
- d = 2.010 Å, 2θ 45.11, intensity 10
- d = 1.924 Å, 2θ 47.23, intensity 14